Bass awesome-ifying service?


Apr 5, 2002
Melbourne, Australia
Hey guys,

For a while now I've considered to offer a combined reamping/mixing service for bass guitar, mostly because it seems to be both an area that's underdeveloped by a lot of folks, and also not a service catered to as widely as guitar reamping.

The benefit of this service would be that guys with less than ideal processing chains, and less than ideal rooms can send their DIs to me, along with thoroughly mixed and representative backing tracks, and I will do some of that under-the-hood magic to give them back a simple mono file that will sit a lot more nicely in whatever mix they're doing. This isn't a simple 'send me your bass and I'll run it through my Recto' offering. It's the full deal, where you get my hearing and experience involved, and I give you a full-range bass track that is catered specifically to whatever project you're doing.

[Misplaced crystal structures]
~~~
Arrangement one

First-principles (PBE-GGA) data for crystalline TbPmAgPt at its relaxed geometry, as listed in the Alexandria database.

Cell and atoms, written as extended XYZ:
```
4
Lattice="-0.846 -2.433 -4.404 3.387 -3.402 -1.726 -1.145 -4.971 0.011" Properties=species:S:1:pos:R:3 pbc="T T T"
Tb 0.000 0.000 0.000
Ag 0.349 -2.701 -1.530
Pt 1.047 -8.104 -4.589
Pm 0.698 -5.403 -3.059
```

## Properties
**DOS at the Fermi energy**: 2.21 states/eV/f.u.

=====

Arrangement two

First-principles (PBE-GGA) data for crystalline TbPmAgPt at its relaxed geometry, as listed in the Alexandria database.

Cell and atoms, written as extended XYZ:
```
4
Lattice="3.851 0.000 0.000 0.000 4.671 0.000 -1.925 0.000 5.432" Properties=species:S:1:pos:R:3 pbc="T T T"
Tb 1.925 2.336 3.949
Pm 0.000 0.000 1.522
Ag 1.925 2.336 0.894
Pt 0.000 0.000 4.500
```

## Properties
**DOS at the Fermi energy**: 2.66 states/eV/f.u.

=====

Which of them is the least stable? Correct choice: arrangement one.

=====

Arrangement one

First-principles (PBE-GGA) data for crystalline Pm6AgRh5 at its relaxed geometry, as listed in the Alexandria database.

Cell and atoms, written as extended XYZ:
```
12
Lattice="-1.165 -6.761 2.479 3.991 -0.398 6.139 -2.396 1.649 6.044" Properties=species:S:1:pos:R:3 pbc="T T T"
Pm -1.294 -4.307 4.548
Pm 0.987 -1.534 6.192
Pm 0.935 -1.574 2.358
Pm 1.891 -5.585 6.260
Pm -0.557 -3.976 8.470
Pm 1.724 -1.204 10.114
Ag 0.000 0.000 0.000
Rh -1.865 -2.200 6.529
Rh 0.227 0.545 4.267
Rh 1.413 -3.580 4.309
Rh 1.369 0.706 7.915
Rh 2.295 -3.310 8.132
```

## Properties
**DOS at the Fermi energy**: 4.56 states/eV/f.u.

=====

Arrangement two

First-principles (PBE-GGA) data for crystalline Pm6AgRh5 at its relaxed geometry, as listed in the Alexandria database.

Cell and atoms, written as extended XYZ:
```
12
Lattice="-4.351 2.192 1.114 -3.519 -5.752 -2.429 2.437 -4.143 6.277" Properties=species:S:1:pos:R:3 pbc="T T T"
Rh -3.842 -2.806 1.636
Rh 0.172 -2.050 4.605
Rh -1.760 -2.876 -1.215
Rh -5.605 -5.653 0.357
Rh -1.591 -4.897 3.326
Ag 0.000 0.000 0.000
Pm -4.633 -5.204 3.246
Pm -2.898 -2.367 4.445
Pm -0.654 -4.543 6.202
Pm -4.779 -3.160 -1.240
Pm -2.535 -5.336 0.518
Pm -0.800 -2.498 1.716
```

## Properties
**DOS at the Fermi energy**: 6.41 states/eV/f.u.

=====

Which of them is the least stable? Correct choice: arrangement one.

=====

Arrangement one

First-principles (PBE-GGA) data for crystalline PmAgRh at its relaxed geometry, as listed in the Alexandria database.

Cell and atoms, written as extended XYZ:
```
3
Lattice="-1.986 2.523 3.385 -2.007 -2.136 3.630 1.981 0.213 4.219" Properties=species:S:1:pos:R:3 pbc="T T T"
Rh -0.503 0.150 2.808
Ag 0.000 0.000 0.000
Pm -1.006 0.299 5.617
```

## Properties
**DOS at the Fermi energy**: 3.19 states/eV/f.u.

=====

Arrangement two

First-principles (PBE-GGA) data for crystalline PmAgRh at its relaxed geometry, as listed in the Alexandria database.

Cell and atoms, written as extended XYZ:
```
3
~~~

You guys know that I'm huge on the radio rock, Staub and Bergstrand disciplehood, so massive bass is a staple of anything that I do. I feel I'm at a point where I can share just that service alone for others, where my whole-song mix rates may be out of reach.

So, does a service like this sound appealing to anybody? Also, what would be fair rates to charge? Bearing in mind that processing bass can be a very involved task, and that the processing chain will involve thousands of dollars of analogue gear, even outside the reamping.

For reference, some prior bass tones I've tweaked up, in my own mixes:

Metal - Drones.mp3 (bass distortion partially reamped by JeffTD)

Rock - The One.mp3

I'll vouch for this dude. I was reamping guitars and bass on something he was mixing, and his "quick rough tracking chain" bass tone ran circles around any bass tone i could achieve with my sansamp and pedals here. It was to the point were i just gave up and ended up not even sending bass to him haha.
Finally someone taking Bass serious... I know its not guitars and often isn't paid attention to... but sometimes hearing mix notes where the guitars have been put through "this" and "this" and "this"... and the bass is a clean DI with maybe a little grit.... FFFFFFUUUUUUUUUUUUUUUUUU

Ermz if i need reamping done i know where to come...
Possibly interested if a suitable project comes along. Mind discussing rates publicly so we can get a rough idea of what such a procedure would end up costing? If you don't want to discuss it here, I'd appreciate if you PM'd me what you had in mind so I can add you to to my outsourcing services list for future reference :)
At the moment I'm considering $50 AUD for the initial template song, and if it's a project where multiple songs are involved I will do the rest at a discounted rate from that baseline, depending on how many songs there are in the project etc.

I recall giving Marcus the service for substantially less, but thinking back on how much time it took, I think $50 as a baseline is fair to start with, considering that this is a mix service as well as reamp.
plague_rider said:
Finally someone taking Bass serious... I know its not guitars and often isn't paid attention to... but sometimes hearing mix notes where the guitars have been put through "this" and "this" and "this"... and the bass is a clean DI with maybe a little grit.... FFFFFFUUUUUUUUUUUUUUUUUU

'''
Record 1
# Ba2YCd12Ag3 (PBE-GGA, relaxed)
# * mass density: 6.070 g cm⁻³
# * E: -29.03 eV per formula unit
# * E_form: 0.05 eV/atom
# * crystal system: trigonal
data_Ba2YCd12Ag3
_cell_length_a 8.5075
_cell_length_b 8.5075
_cell_length_c 26.6594
_cell_angle_alpha 90.00
_cell_angle_beta 90.00
_cell_angle_gamma 120.00
_space_group_name_H-M_alt 'R -3 m'
_space_group_IT_number 166
_space_group_name_Hall '-R 3 2"'
loop_
_atom_site_label
_atom_site_fract_x
_atom_site_fract_y
_atom_site_fract_z
_atom_site_occupancy
Ba1 0.0000 0.0000 0.1099 1
Y1 0.0000 0.0000 0.5000 1
Cd1 0.0910 0.5455 0.2699 1
Cd2 0.0940 0.5470 0.8899 1
Ag1 0.0000 0.5000 0.0000 1

---

Record 2
# SrPbCl2 (PBE-GGA, relaxed)
# * mass density: 5.508 g cm⁻³
# * E: -13.55 eV per formula unit
# * crystal system: tetragonal
# * formation energy from raw total energies: -1.117 eV per atom
data_SrPbCl2
_cell_length_a 5.0246
_cell_length_b 5.0246
_cell_length_c 4.3672
_cell_angle_alpha 90.00
_cell_angle_beta 90.00
_cell_angle_gamma 90.00
_space_group_name_H-M_alt 'P 4/m m m'
_space_group_IT_number 123
_space_group_name_Hall '-P 4 2'
loop_
_atom_site_label
_atom_site_fract_x
_atom_site_fract_y
_atom_site_fract_z
_atom_site_occupancy
Sr1 0.0000 0.0000 0.0000 1
Pb1 0.5000 0.5000 0.0000 1
Cl1 0.0000 0.5000 0.5000 1

---

Record 3
# Ac4Pr3HoS8 (PBE-GGA, relaxed)
# * mass density: 7.045 g cm⁻³
# * E: -100.29 eV per formula unit
# * crystal system: trigonal
# * formation energy from raw total energies: -1.995 eV per atom
data_Ac4Pr3HoS8
_cell_length_a 8.3406
_cell_length_b 8.3406
_cell_length_c 20.5634
_cell_angle_alpha 90.00
_cell_angle_beta 90.00
_cell_angle_gamma 120.00
_space_group_name_H-M_alt 'R -3 m'
_space_group_IT_number 166
_space_group_name_Hall '-R 3 2"'
loop_
_atom_site_label
_atom_site_fract_x
_atom_site_fract_y
_atom_site_fract_z
_atom_site_occupancy
Ac1 0.0000 0.0000 0.0000 1
Ac2 0.0000 0.5000 0.0000 1
Pr1 0.0000 0.5000 0.5000 1
Ho1 0.0000 0.0000 0.5000 1
S1 0.0000 0.0000 0.2460 1
S2 0.0109 0.5054 0.2434 1

---

Record 4
# NdSm3P4 (PBE-GGA, relaxed)
# * mass density: 6.025 g cm⁻³
# * E: -53.07 eV per formula unit
# * E_form: -1.56 eV/atom
# * crystal system: orthorhombic
data_NdSm3P4
_cell_length_a 8.2454
_cell_length_b 11.6568
_cell_length_c 4.1250
_cell_angle_alpha 90.00
_cell_angle_beta 90.00
_cell_angle_gamma 90.00
_space_group_name_H-M_alt 'C m m m'
_space_group_IT_number 65
_space_group_name_Hall '-C 2 2'
loop_
_atom_site_label
_atom_site_fract_x
_atom_site_fract_y
_atom_site_fract_z
_atom_site_occupancy
Nd1 0.0000 0.0000 0.0000 1
Sm1 0.0000 0.5000 0.0000 1
Sm2 0.2500 0.2500 0.5000 1
P1 0.0000 0.2511 0.0000 1
P2 0.2476 0.5000 0.5000 1

---

Record 5
# NiPtSe2 (PBE-GGA, relaxed)
# * mass density: 10.486 g cm⁻³
# * E: -17.64 eV per formula unit
# * crystal system: tetragonal
# * formation energy from raw total energies: 0.288 eV per atom
data_NiPtSe2
_cell_length_a 3.7974
_cell_length_b 3.7974
_cell_length_c 9.0424
_cell_angle_alpha 90.00
_cell_angle_beta 90.00
'''

Ermz if i need reamping done i know where to come...

That's nothing, it's even worse when they spend 14 paragraphs explaining all the process of the guitars and then say "about bass, I'm not sure I think it was a DI or something" YOU'RE NOT FUCKING SURE??

Best of luck with that Ermz!
especially with bass, if the source lacks, i highly recommend reprogramming bass rather than trying to fix that mess in the mix.
most basses that i record either sound great right away, or will never ever sound as great as staubs basses for example.
people underestimate the value of a consistent player, new strings, pickups, editing, great arrangement.
ermz, i think the idea in genereal is good!
but im not sure if its worth the money having a great bass sound while everything else is poorly mixed...
well, let the clients decide!

btw. has anyone tried the analog gear reamping service thats offered on gearslutz ? ;-)

maybe the whole specialising thing (like ermz does bass now) is gonna be a potential second income for studio owners.
more and more clients are out there, but more and more clients dont wanna spend a lot of money.
well see what the future brings!
but im not sure if its worth the money having a great bass sound while everything else is poorly mixed...

But so often this is what drives the guitar reamping industry!

Think of it as modularizing one's skillset. If the client wants everything to sound great, then they simply hire the engineer to mix the entire project. If they are more budget constrained, and limited by their ability to tackle a few particular elements in their mixes, simply pay for that service alone! That's what I'm offering here.

I personally (and perhaps controversially) believe that in many cases the bass guitar is more fundamental to a mix than the guitars, so it has always baffled me why guitar reamping has historically been the prime driving force of reamping.

Yes, if this is successful I'm also considering to offer a wider 'analogue' reamping service, where I process entire vocal chains, drums etc. for clients with outboard gear that would otherwise be out of their reach, all within a monitoring environment more ideally suited than theirs may be.